-- Contents --
____________
1.
Computed, not measured: a relaxed Ca3Ga2SiSn2O12 crystal at the GGA-PBE level of DFT.

Computed properties:
Energy of formation: -2812.8 meV/atom
Space-group type: I4_1/acd (142)
E: -6.645 eV per atom

Lattice parameters (Å, degrees): 10.9305 10.9305 10.9305 109.06 109.06 110.29
Fractional coordinates of all 80 atoms:
Ca1 0.1254 0.2500 0.3754
Ca2 0.1250 0.3750 0.7500
Ca3 0.2500 0.3746 0.1246
Ca4 0.2500 0.8746 0.6246
Ca5 0.3750 0.1250 0.2500
Ca6 0.3746 0.7500 0.1246
Ca7 0.6254 0.2500 0.8754
Ca8 0.6250 0.8750 0.7500
Ca9 0.7500 0.1254 0.3754
Ca10 0.7500 0.6254 0.8754
Ca11 0.8750 0.6250 0.2500
Ca12 0.8746 0.7500 0.6246
Ga1 0.1243 0.7500 0.8743
Ga2 0.2500 0.1243 0.8743
Ga3 0.2500 0.6243 0.3743
Ga4 0.3757 0.2500 0.6257
Ga5 0.6243 0.7500 0.3743
Ga6 0.7500 0.3757 0.6257
Ga7 0.7500 0.8757 0.1257
Ga8 0.8757 0.2500 0.1257
Si1 0.1250 0.8750 0.2500
Si2 0.3750 0.6250 0.7500
Si3 0.6250 0.3750 0.2500
Si4 0.8750 0.1250 0.7500
Sn1 0.0000 0.0000 0.0000
Sn2 0.0000 0.0000 0.5000
Sn3 0.0000 0.5000 0.0000
Sn4 0.0000 0.5000 0.5000
Sn5 0.5000 0.0000 0.0000
Sn6 0.5000 0.0000 0.5000
Sn7 0.5000 0.5000 0.0000
Sn8 0.5000 0.5000 0.5000
O1 0.0039 0.2990 0.8883
O2 0.0253 0.2036 0.1250
O3 0.0786 0.7036 0.6783
O4 0.0893 0.8844 0.3883
O5 0.0955 0.6234 0.4150
O6 0.0997 0.9747 0.6783
O7 0.1156 0.0039 0.2049
O8 0.1234 0.5955 0.9150
O9 0.1805 0.2084 0.5850
O10 0.2010 0.4961 0.6117
O11 0.2036 0.5786 0.1783
O12 0.2084 0.1234 0.0279
O13 0.2916 0.3195 0.9150
O14 0.2964 0.4747 0.3750
O15 0.2990 0.9107 0.2951
O16 0.3195 0.9045 0.0279
O17 0.3766 0.2916 0.4721
O18 0.3844 0.5893 0.8883
O19 0.4003 0.0786 0.8750
O20 0.4045 0.8195 0.5279
O21 0.4107 0.7990 0.7951
O22 0.4214 0.0997 0.6250
O23 0.4747 0.5997 0.1783
O24 0.4961 0.3844 0.2951
O25 0.5039 0.6156 0.7049
O26 0.5253 0.4003 0.8217
O27 0.5786 0.9003 0.3750
O28 0.5893 0.2010 0.2049
O29 0.5955 0.1805 0.4721
O30 0.5997 0.9214 0.1250
O31 0.6156 0.4107 0.1117
O32 0.6234 0.7084 0.5279
O33 0.6805 0.0955 0.9721
O34 0.7010 0.0893 0.7049
O35 0.7036 0.5253 0.6250
O36 0.7084 0.6805 0.0850
O37 0.7916 0.8766 0.9721
O38 0.7964 0.4214 0.8217
O39 0.7990 0.5039 0.3883
O40 0.8195 0.7916 0.4150
O41 0.8766 0.4045 0.0850
O42 0.8844 0.9961 0.7951
O43 0.9003 0.0253 0.3217
O44 0.9045 0.3766 0.5850
O45 0.9107 0.1156 0.6117
O46 0.9214 0.2964 0.3217
O47 0.9747 0.7964 0.8750
O48 0.9961 0.7010 0.1117

=====

2.
Computed, not measured: a relaxed CaYGa3O7 crystal at the GGA-PBE level of DFT.

Computed properties:
Energy of formation: -2816.3 meV/atom
Space-group type: Cmm2 (35)
E: -6.765 eV per atom

Lattice parameters (Å, degrees): 7.9247 7.9247 5.2324 90.00 90.00 90.49
Fractional coordinates of all 24 atoms:
Ca1 0.1611 0.8389 0.0000
Ca2 0.8389 0.1611 0.0000
Y1 0.3392 0.3392 0.9686
Y2 0.6608 0.6608 0.9686
Ga1 0.0000 0.5000 0.4856
Ga2 0.1465 0.1465 0.5213
Ga3 0.3564 0.6436 0.4481
Ga4 0.5000 0.0000 0.4856
Ga5 0.6436 0.3564 0.4481
Ga6 0.8535 0.8535 0.5213
O1 0.0000 0.0000 0.6848
O2 0.1017 0.3462 0.7027
O3 0.1522 0.1522 0.1753
O4 0.1611 0.5883 0.2692
O5 0.3462 0.1017 0.7027
O6 0.3708 0.6292 0.7954
O7 0.4117 0.8389 0.2692
O8 0.5000 0.5000 0.2662
O9 0.5883 0.1611 0.2692
O10 0.6292 0.3708 0.7954
O11 0.6538 0.8983 0.7027
O12 0.8389 0.4117 0.2692
O13 0.8478 0.8478 0.1753
O14 0.8983 0.6538 0.7027

=====

3.
Computed, not measured: a relaxed Ca3Ga2P4 crystal at the GGA-PBE level of DFT.

Computed properties:
Energy of formation: -874.6 meV/atom
Space-group type: C2/c (15)
E: -4.622 eV per atom

Lattice parameters (Å, degrees): 8.0384 8.0384 6.4815 90.85 90.85 76.09
Fractional coordinates of all 18 atoms:
Ca1 0.1003 0.8997 0.7500
Ca2 0.2517 0.5052 0.0270
Ca3 0.4948 0.7483 0.4730
Ca4 0.5052 0.2517 0.5270
Ca5 0.7483 0.4948 0.9730
Ca6 0.8997 0.1003 0.2500
Ga1 0.0807 0.3246 0.5903
Ga2 0.3246 0.0807 0.0903
Ga3 0.6754 0.9193 0.9097
Ga4 0.9193 0.6754 0.4097
P1 0.0651 0.2428 0.9389
P2 0.2162 0.5590 0.5217
P3 0.2428 0.0651 0.4389
P4 0.4410 0.7838 0.9783
P5 0.5590 0.2162 0.0217
P6 0.7572 0.9349 0.5611
P7 0.7838 0.4410 0.4783
P8 0.9349 0.7572 0.0611

=====

4.
____________

-- Wanted --
Filter the notes earlier on: keep the lines with the word "Si1".

-- Solution --
Si1 0.1250 0.8750 0.2500